Problem Solving
How are they feeling?
Problem Solving at Work
Conversation Skills
Final Jeopardy

What did the boy do wrong?  What did he do right?

The boy was playing ball in the wrong place.  The boy hit the lady with the ball.

He apologized.  He should play somewhere else.


Allison is wearing a uniform. She is packing her bag with a glove, ball and cleats.  Where is Allison going?

Need choices?

-basketball camp

-swim team

-a baseball game


Claire's best friend just moved to another town. Claire hasn't come out of her bedroom all day. She doesn't want to eat or play.  How is Claire feeling?

**Unrelated to this text: quantum chemistry results:**
┌──
ORCA calculation (ωB97M-V with the def2-TZVPD basis set) on the molecule C5H9N in a non-equilibrium geometry.

Calculated values
- SMILES = C=CCN1CC1
- energy above the lowest of the compared OMol25 structures with the same formula, charge and spin (kJ/mol) = 201.09
- frontier orbital gap (Eh) = 0.390

```
15
Properties=species:S:1:pos:R:3:lowdin_charge:R:1
N -0.014 1.005 0.532 -0.138
C -1.366 1.075 -0.003 -0.143
C 1.286 -0.464 -0.867 -0.173
C 1.207 -1.576 -1.603 -0.009
C 0.591 -0.315 0.457 -0.254
C -1.123 1.136 1.477 -0.143
H 1.854 0.429 -1.241 0.118
H -1.549 1.943 -0.599 0.092
H 0.608 -2.437 -1.277 0.060
H -0.136 -1.137 0.655 0.119
H 1.747 -1.723 -2.516 0.039
H -1.418 0.244 2.026 0.097
H -1.790 0.120 -0.335 0.107
H -1.256 2.072 2.031 0.100
H 1.360 -0.372 1.261 0.127
```


ORCA calculation (ωB97M-V with the def2-TZVPD basis set) on a structure of composition C42H46MgN6O2P2 in a non-equilibrium geometry.

Calculated values
- frontier orbital gap (Eh) = 0.237

```
99
Properties=species:S:1:pos:R:3:lowdin_charge:R:1
P 1.633 -1.191 -3.480 1.124
P -2.209 -0.334 -3.507 1.107
Mg -0.310 -1.915 1.438 1.041
O 0.128 1.126 3.035 0.028
O -0.626 -2.991 4.756 0.035
N -2.079 1.193 -4.363 -0.302
N 2.936 -0.072 -3.922 -0.266
N 2.185 -2.368 -4.765 -0.245
N -0.648 0.487 5.178 0.131
N -0.529 -1.048 3.529 0.047
N -3.650 -0.818 -4.577 -0.248
C 0.616 -0.004 8.020 -0.048
C -2.446 2.399 -3.749 -0.149
C 0.428 -0.393 -4.596 -0.443
C -4.268 -0.188 7.145 -0.083
C 2.369 1.958 -0.268 -0.102
C -5.188 -1.187 -6.230 -0.091
C -3.190 -0.308 6.252 -0.027
C 2.533 3.266 -0.008 -0.111
C 1.441 4.249 0.200 -0.188
C -4.188 -0.722 8.439 -0.094
C 2.356 -2.214 -6.142 -0.148
C -0.666 -0.754 5.916 -0.245
C -1.662 1.495 -5.666 -0.165
C -0.879 3.420 0.952 -0.114
C 3.061 -4.291 -5.575 -0.104
C -2.256 3.446 -4.647 -0.076
C 4.413 1.205 -5.086 -0.080
C 3.173 0.580 -5.134 -0.154
C 1.585 -2.821 1.655 -0.252
C -4.140 -2.122 -4.437 -0.185
C 1.599 -1.810 6.766 -0.019
C 0.449 3.969 1.393 -0.168
C 1.028 1.275 -0.327 -0.186
C -0.325 0.296 3.815 -0.527
C -0.618 -1.765 4.689 -0.440
C -5.087 -2.376 -5.429 -0.104
C -1.786 2.869 -5.882 -0.069
C 2.625 -3.644 -4.426 -0.163
C -0.918 -1.144 -4.573 -0.411
C -1.994 -0.892 6.696 -0.151
C 4.968 0.933 -3.794 -0.091
C 2.742 -0.944 8.743 -0.095
C -3.063 -1.470 8.797 -0.075
C 4.058 0.131 -3.113 -0.155
C 2.898 -3.383 -6.664 -0.087
C -1.988 -1.584 7.911 -0.035
C -0.070 2.085 -1.071 -0.217
C 2.682 -1.837 7.669 -0.077
C -4.303 -0.248 -5.679 -0.132
C 1.684 -0.046 8.933 -0.079
C 0.573 -0.863 6.903 -0.136
C -1.071 2.771 -0.206 -0.134
H 1.553 -2.567 5.977 0.109
H -3.771 -2.744 -3.643 0.085
H 0.836 4.351 -0.705 0.101
H 1.893 5.245 0.352 0.108
H 2.581 -3.959 -3.393 0.090
H 2.082 -1.303 -6.656 0.083
H -1.297 -1.268 -5.607 0.092
H 4.858 1.782 -5.893 0.096
H -2.110 2.668 -0.557 0.085
H 4.093 -0.319 -2.134 0.090
H -0.647 1.418 5.571 0.154
H -2.411 4.489 -4.432 0.090
H -2.862 2.392 -2.763 0.083
H -0.215 0.677 8.222 0.120
H 0.732 -0.315 -5.648 0.053
H -2.998 -1.943 9.775 0.103
└──

She is sad. She misses her friend.


You are trying to work, but a co-worker keeps talking to you and it's very distracting. What can you do?

Ask them nicely to stop talking because it's hard for you to do your job.

Ask them if you can talk during lunch, because you're trying to do your job.


What should Mike do to 'drive' the conversation (keep it going)?

Mike should look at the person speaking (make eye contact).

Mike should participate in conversation by asking questions or making comments.


What is the man thinking?

He thinks the dog killed/ buried the cat.


Stacey is making macaroni and cheese for dinner. She grabs the pot off the stove and burns herself. The burn hurts badly and begins to blister.  

What is the problem?  

What should she do?

The problem is she burned herself.

She should ask her parent for help. 

She should see a doctor. 


Tommy went to the pond. He took his fishing pole and tackle box. He came home with a big smile.   Why was Tommy smiling?

He caught a fish.


Tony likes to play football. Tomorrow there are tryouts for the team. He really wants to make the team and has recently started biting his nails.  How is Tony feeling?

He feels nervous.

He feels anxious.


You start to feel sick while you are at work.  What should you do?

Tell your supervisor you're not feeling well and see if you can go home.


Is Josh driving the conversation (keeping it going)? or Is he stopping the conversation?  What should he do differently?

Josh is stopping the conversation.

He should:

-look at the girl speaking


-contribute to the conversation (taking turns speaking - not just one word responses)


When Carly came home from school, she smelled smoke in the house. Her parents are not at home. 

What is the problem?

What should Carly do?

The problem is Carly smells smoke and that means there might be a fire.

Carly should get out of the house.

Carly should call the fire department and her parents.

Carly could go to a neighbor's house.


It was Melissa's birthday and she was excited to open her presents. She really wanted a new bike. Just as she finished opening gifts, she looked up and saw her father rolling something into the room. Melissa smiled broadly.   Why did Melissa smile?

Because she got a bike for her birthday.


How does Duke feel?





You are working in the garden department of a large store. You notice the guy you work with, your co-worker, is not working as hard as you are. What should you do?

Nothing.  You should continue to do well at your job. Mind your own business.


Did Rachel (the girl with the stripes) drive the conversation (keep it going) or stop the conversation?

She is stopping the conversation.

She should adjust her body language. 

She should look at the person speaking.

She should make comments and ask questions to keep the conversation going.


What is the problem? What can Tavi do?

The problem is that Tavi did not do well on a test.

Tavi could ask for extra help.

Tavi could study more.


Jeremy started sneezing. It was allergy season but pollen never bothered him before. I recently got a new cat. I noticed pet hair on Jeremy's shirt.  Why is Jeremy sneezing?

He is allergic to the cat.


How does he feel?


Let down

Very sad


You have to fill out paperwork for your job.  You don't know how to fill out the papers correctly.  What could you do?

Ask a supervisor for assistance.

Data records from another source follow
# 1
Below is C3H5F as an isolated structure at a distorted geometry, with properties calculated with ωB97M-V/def2-TZVPD.

Values from the calculation:
E_HOMO in eV: -9.79
HOMO-LUMO gap in eV: 10.81
ΔE to the lowest compared entry with this formula, charge and spin in eV: 2.633

Structure (XYZ):
```
9
Properties=species:S:1:pos:R:3:forces:R:3:mulliken_charge:R:1
C -1.11948 -0.33676 0.15954 -0.11 -3.66 -2.37 -0.182
C 0.28081 -0.37929 -0.13438 5.28 3.05 -0.36 -0.115
C 1.09536 0.70896 -0.04078 1.80 0.69 1.01 -0.545
H -1.34271 -1.14353 -0.58836 -1.55 0.16 1.08 0.181
H -1.17394 -0.68336 1.17459 -1.31 0.32 0.68 0.259
H 0.95293 -1.24215 -0.51700 -2.31 0.84 0.68 0.240
H 2.18422 0.30491 -0.33813 -2.08 2.24 0.84 0.192
H 0.89306 1.99486 0.51704 0.51 -4.59 -2.20 0.214
F -1.77024 0.77637 -0.23252 -0.24 0.94 0.64 -0.244
```
Positions in Å, forces in eV/Å.

# 2
Below is a 2-piece molecular cluster, C23H44IN2O5S overall at a distorted geometry, with properties calculated with ωB97M-V/def2-TZVPD.

Values from the calculation:
E_HOMO in eV: -11.94
Net charge: +1
HOMO-LUMO gap in eV: 9.04

Structure (XYZ):
```
76
Properties=species:S:1:pos:R:3:forces:R:3:mulliken_charge:R:1
C -1.83209 -0.27695 4.82130 -0.29 0.07 0.24 -0.436
O -0.44389 -0.18242 4.98317 0.14 -0.01 -0.59 -0.374
C 0.25380 -1.38861 4.69839 0.08 0.39 0.77 -0.768
C 1.66044 -1.04549 4.27278 -0.05 -0.35 -0.42 0.320
C 2.54456 -2.28900 4.13455 -0.18 0.74 -0.51 -1.022
C 2.24070 -3.04852 2.83514 0.04 -0.67 0.27 0.351
C 3.47748 -3.54297 2.09016 0.21 0.28 0.15 -1.123
C 4.50143 -2.48365 1.61320 -0.38 -0.26 0.37 -1.131
C 3.98453 -1.09057 1.28314 0.41 -0.12 -0.58 -0.669
C 2.93434 -1.04320 0.17146 -0.38 0.73 0.63 0.544
C 3.09989 0.15354 -0.76394 0.10 -0.61 -0.24 -0.626
C 2.24831 0.02043 -2.03263 0.36 0.27 -0.26 -0.654
C 1.50198 1.26537 -2.49432 -0.40 -0.14 0.46 -1.090
C 0.23081 1.68804 -1.67459 0.28 -0.15 -0.62 -0.859
C -0.30963 0.65503 -0.76649 -0.52 -0.39 0.36 0.451
C -1.05442 -0.46422 -1.07094 0.90 0.65 0.86 0.324
C -1.54039 -0.85068 -2.43444 -0.25 0.19 0.05 -0.836
O -1.95102 -2.19038 -2.51795 0.11 -0.21 -0.08 -0.265
O -0.87370 -2.99393 -3.00807 0.03 0.12 -0.13 -0.343
N -1.27135 -1.13542 0.13076 0.38 0.47 -0.74 0.352
C -1.99689 -2.37601 0.34101 0.18 -0.28 0.89 -1.181
C -3.46011 -2.10929 0.61387 0.22 -1.16 0.17 0.435
O -4.00720 -1.12423 0.31031 -0.68 1.33 -0.33 -0.417
I -4.44478 -3.72539 1.61275 0.09 0.03 -0.08 0.091
C -0.70093 -0.43895 1.11851 -0.12 -0.08 -0.05 -0.595
N -0.13291 0.66007 0.62497 -0.17 -0.54 -1.02 0.530
S 0.62697 1.85435 1.60451 -0.12 0.16 0.74 -0.029
H -2.13124 -0.49566 3.78848 0.07 -0.11 -0.13 0.074
H -2.25840 0.68448 5.08224 -0.03 0.16 0.06 0.265
H -2.28517 -1.03191 5.46625 0.04 -0.14 0.08 0.322
H 0.30505 -1.98254 5.61577 -0.16 -0.22 0.00 0.484
H -0.28502 -1.97475 3.94816 -0.03 -0.13 -0.18 0.304
H 1.61343 -0.58707 3.28465 0.05 0.35 -0.11 -0.513
H 2.07769 -0.30719 4.95029 0.00 0.02 0.24 0.470
H 3.57624 -1.94893 4.10332 0.19 -0.08 0.18 0.342
H 2.40870 -2.92059 5.00583 0.17 -0.21 0.14 0.567

If you're home, ask a parent for help.


Is Zach following the rules of conversation? What should he do differently?

Zach should give his friend the chance to talk.  Taking turns during conversation is an important conversation rule.


Bethany stubbed her toe on the bedroom door. Her toe does not hurt but won't stop bleeding.  

What is the problem?

What should Bethany do?

Bethany hurt her toe and it is bleeding everywhere.

Bethany should get a bandaid.

Bethany should tell someone, like a parent, that she is hurt.


What do we know about Mr. Bean?

He was not prepared for the test.

He doesn't know the answers.


How does he feel?



Very Happy


What did the lady with the green sweater do wrong? Why is that a problem?

The lady is late for work.

You are expected to be on time for work.

It is not okay to be late to work repeatedly.


Identify 2 'good things' about this conversation?  What 'drove' the conversation to make it a good one?

The boys looked at each other.

They asked questions and made comments.

_Inserted here: data records_
~~~
The following is a DFT calculation (ωB97M-V with the def2-TZVPD basis set) of 2 unconnected molecules or ions with the total composition C12H18N4O2S in a non-equilibrium geometry.

Geometry (Å):
N 2.318 1.981 -2.244
C 2.899 1.089 -1.820
C 3.659 -0.036 -1.278
C 2.956 -0.697 -0.067
C 3.987 -1.286 0.795
N 4.809 -1.793 1.412
C 1.948 -1.780 -0.491
C 0.560 -1.181 -0.779
C -0.189 -1.956 -1.856
C -1.659 -1.560 -1.991
S -2.604 -1.942 -0.485
C -3.431 -0.450 -0.142
N -4.348 -0.255 0.761
N -4.651 1.101 0.724
C -3.891 1.615 -0.186
O -3.083 0.691 -0.794
H 3.803 -0.767 -2.072
H 4.646 0.323 -0.994
H 2.419 0.065 0.497
H 1.853 -2.509 0.311
H 2.310 -2.316 -1.368
H 0.674 -0.148 -1.109
H -0.008 -1.174 0.148
H 0.284 -1.698 -2.806
H -0.068 -3.029 -1.712
H -1.714 -0.505 -2.233
H -2.131 -2.106 -2.803
H -3.804 2.633 -0.515
C -1.627 1.955 3.027
C -0.218 2.248 2.554
O 0.280 1.209 1.713
H -1.655 1.004 3.561
H -1.996 2.738 3.690
H -2.315 1.878 2.182
H 0.470 2.306 3.396
H -0.178 3.204 2.022
H -0.304 1.149 0.951

- SMILES = N#CC[C@H](C#N)CCCCSc1nnco1.CCO
- HOMO level (hartree) = -0.3404
- spin multiplicity = 1
- net charge = 0

These are the Mulliken partial charges, in e, on atoms 1 to 4: number 1, N, carries -0.490; number 2, C, carries 0.269; number 3, C, carries -0.656; number 4, C, carries 0.755

The following is a DFT calculation (ωB97M-V with the def2-TZVPD basis set) of 6 unconnected molecules or ions with the total composition C12H18N6 in a non-equilibrium geometry.

Geometry (Å):
C -0.037 -1.450 -5.258
C 0.429 -1.844 -3.922
N 0.794 -2.168 -2.888
H 0.429 -2.102 -5.993
H 0.224 -0.417 -5.472
H -1.119 -1.561 -5.274
C 0.933 0.574 -1.092
C -0.305 1.173 -0.646
N -1.287 1.603 -0.247
H 0.970 0.579 -2.180
H 0.978 -0.460 -0.746
H 1.840 1.058 -0.735
C 1.086 -5.395 1.247
C 0.791 -3.988 0.992
N 0.559 -2.882 0.794
H 0.281 -5.854 1.809
H 2.037 -5.468 1.773
H 1.226 -5.888 0.284
C -1.248 1.945 2.895
C -1.500 1.761 4.317
N -1.721 1.575 5.430
H -0.479 2.679 2.664
H -2.134 2.351 2.404
H -1.021 0.966 2.482
C 4.832 1.778 1.928
C 3.524 2.312 1.565
N 2.491 2.704 1.265
H 5.088 0.990 1.218
H 4.817 1.360 2.931
H 5.623 2.522 1.851
C -4.593 2.054 -1.006
C -4.903 1.569 0.326
N -5.141 1.205 1.388
H -4.934 3.078 -1.191
H -5.014 1.452 -1.805
H -3.514 2.190 -1.108

- SMILES = CC#N.CC#N.CC#N.CC#N.CC#N.CC#N
- HOMO level (hartree) = -0.3949
- spin multiplicity = 1
- net charge = 0

These are the Mulliken partial charges, in e, on atoms 1 to 4: number 1, C, carries -0.787; number 2, C, carries 0.344; number 3, N, carries -0.352; number 4, H, carries 0.277

The following is a DFT calculation (ωB97M-V with the def2-TZVPD basis set) of 2 unconnected molecules or ions with the total composition C12H18O8P in a non-equilibrium geometry.

Geometry (Å):
C 3.384 3.243 1.224
C 1.943 2.878 1.469
O 1.793 1.535 2.006
P 1.101 0.398 1.091
C -0.376 -0.173 1.819
C -1.745 0.112 1.577
O -2.653 0.002 2.406
O -1.962 0.527 0.286
C -3.361 0.649 -0.072
C -4.018 -0.676 -0.351
O 1.076 0.846 -0.339
O 2.121 -0.800 1.418
~~~

They took turns speaking.

They stayed on topic.

They did not interrupt each other.
